Resolution Pitfalls to Watch Out For on the Way to Your Goal

Watch Out for These Resolution Pitfalls
We’ve talked a lot in this challenge about how to stay on track with your resolutions. There are a lot of tricks and strategies for pushing past resistance and finding the motivation you need to succeed. As we near the end of our time together, I’d like to address some things not to do as you pursue your goals. These are some of the most common reasons people fail in trying to reach their objectives. Watch out for these resolution pitfalls to greatly increase your chances of success.
Negative Focus
It’s a tempting place to see our flaws and weaknesses in the spotlight when we’re looking to make lifestyle changes. That makes sense. There’s something we don’t like about ourselves or that we feel needs to be improved upon, so we make a resolution to change it. However, a change in perspective can make reaching your goal a lot less painful. For instance, instead of saying, “I’m lazy and waste too much time,” try telling yourself, “I haven’t found my passion yet and am eager to do some exploring.” The messages we tell ourselves tend to lead our actions. So make the message an empowering one.
Trend Seeking
## Between two parts of the piece: records of crystals
┌──
{
  "formula": "Y2Ga4PdPt",
  "functional": "PBE-GGA",
  "state": "optimized geometry",
  "lattice": [[6.713, 0.000, 0.000], [0.000, 4.379, 0.000], [0.000, 0.000, 10.216]],
  "species": ["Y", "Y", "Y", "Y", "Ga", "Ga", "Ga", "Ga", "Ga", "Ga", "Ga", "Ga", "Pd", "Pd", "Pt", "Pt"],
  "frac_coords": [[0.000, 0.000, 0.000], [0.000, 0.500, 0.500], [0.500, 0.000, 0.164], [0.500, 0.500, 0.664], [0.198, 0.000, 0.714], [0.198, 0.500, 0.214], [0.304, 0.000, 0.452], [0.304, 0.500, 0.952], [0.696, 0.000, 0.452], [0.696, 0.500, 0.952], [0.802, 0.000, 0.714], [0.802, 0.500, 0.214], [0.500, 0.000, 0.877], [0.500, 0.500, 0.377], [0.000, 0.000, 0.288], [0.000, 0.500, 0.788]],
  "sg": "Amm2",
  "density_kg_m3": 8385,
  "total_energy_ev_per_atom": -5.405
}

=====

{
  "formula": "Y4Hf2Zn3C3",
  "functional": "PBE-GGA",
  "state": "optimized geometry",
  "lattice": [[5.236, -3.026, 0.000], [5.236, 3.026, 0.000], [-3.633, 0.000, 14.523]],
  "species": ["Y", "Y", "Y", "Y", "Y", "Y", "Y", "Y", "Hf", "Hf", "Hf", "Hf", "Zn", "Zn", "Zn", "Zn", "Zn", "Zn", "C", "C", "C", "C", "C", "C"],
  "frac_coords": [[0.043, 0.193, 0.101], [0.123, 0.299, 0.399], [0.193, 0.043, 0.601], [0.299, 0.123, 0.899], [0.701, 0.877, 0.101], [0.807, 0.957, 0.399], [0.877, 0.701, 0.601], [0.957, 0.807, 0.899], [0.347, 0.526, 0.074], [0.474, 0.653, 0.426], [0.526, 0.347, 0.574], [0.653, 0.474, 0.926], [0.165, 0.586, 0.250], [0.338, 0.662, 0.750], [0.414, 0.835, 0.250], [0.586, 0.165, 0.750], [0.662, 0.338, 0.250], [0.835, 0.414, 0.750], [0.000, 0.500, 0.000], [0.192, 0.654, 0.500], [0.346, 0.808, 0.000], [0.500, 0.000, 0.500], [0.654, 0.192, 0.000], [0.808, 0.346, 0.500]],
  "sg": "C2/c",
  "density_kg_m3": 6818,
  "total_energy_ev_per_atom": -6.824
}

=====

{
  "formula": "LuCuHg2",
  "functional": "PBE-GGA",
  "state": "optimized geometry",
  "lattice": [[6.855, 0.000, 0.000], [0.000, 6.855, 0.000], [0.000, 0.000, 6.855]],
  "species": ["Lu", "Lu", "Lu", "Lu", "Cu", "Cu", "Cu", "Cu", "Hg", "Hg", "Hg", "Hg", "Hg", "Hg", "Hg", "Hg"],
  "frac_coords": [[0.000, 0.000, 0.000], [0.000, 0.500, 0.500], [0.500, 0.000, 0.500], [0.500, 0.500, 0.000], [0.250, 0.250, 0.750], [0.250, 0.750, 0.250], [0.750, 0.250, 0.250], [0.750, 0.750, 0.750], [0.000, 0.000, 0.500], [0.000, 0.500, 0.000], [0.250, 0.250, 0.250], [0.250, 0.750, 0.750], [0.500, 0.000, 0.000], [0.500, 0.500, 0.500], [0.750, 0.250, 0.750], [0.750, 0.750, 0.250]],
  "formation_enthalpy_0k_ev_per_atom": -0.174,
  "sg": "F-43m",
  "density_kg_m3": 13192,
  "total_energy_ev_per_atom": -2.383
}

=====

{
  "formula": "HfB4As",
  "functional": "PBE-GGA",
  "state": "optimized geometry",
  "lattice": [[3.054, 0.000, 0.000], [0.000, 5.395, 0.000], [0.000, 0.000, 7.414]],
  "species": ["Hf", "Hf", "B", "B", "B", "B", "B", "B", "B", "B", "As", "As"],
└──
Fads come and go. It’s easy to want to jump on the bandwagon or to feel like you should be doing what everyone else seems to be. That’s why so many of us tend to make resolutions we don’t really find meaningful. Deciding to pursue a goal that feels like something you “should” do because so many people are you are doing it is being inauthentic to yourself and your core values. It will only lead you to become disenchanted or frustrated along the way to your destination.
Quest for Perfection
A surefire killer of resolutions lies in trying to be perfect. We’re all flawed individuals. We’re bound to mess up from time to time. This is especially true when attempting something new or out of our comfort zone. Be sure to cut yourself some slack when going after your goals. Expecting perfection is self-sabotaging and often leads to an unfulfilled dream.
Loss of Excitement
At the beginning, the excitement and novelty of your resolution is often enough to carry you along. Later, you may find yourself getting too comfortable or finding that things have become routine. In these times, it’s easy to slide back into old habits because you’re not paying as much attention to your actions or you lose focus. Finding a supportive cheerleader, writing yourself visual reminders, or revisiting your why can be the motivation you need to get past the slump.
There are other pitfalls I’ve presented in past posts such as trying to go it alone, not being specific in your goal-setting, failing to measure your progress, or not celebrating and rewarding yourself along the way. I wanted to share some lesser-known issues that can crop up and sabotage your success. Now that you’re aware, it will be easier to avoid them.